To do
It remains to duplicate only the lines underneath with the word "is" in them.

Given
/*
No. 1
Below is a PBEsol-optimized structure of H3WCl, with properties calculated at the meta-GGA SCAN level.

CIF file:
```
data_H3WCl
_cell_length_a 3.627
_cell_length_b 3.627
_cell_length_c 3.627
_cell_angle_alpha 90.00
_cell_angle_beta 90.00
_cell_angle_gamma 90.00
_symmetry_space_group_name_H-M 'P m -3 m'
_symmetry_Int_Tables_number 221
_symmetry_space_group_name_Hall '-P 4 2 3'
loop_
_atom_site_label
_atom_site_type_symbol
_atom_site_fract_x
_atom_site_fract_y
_atom_site_fract_z
H1 H 0.000 0.000 0.500
W1 W 0.000 0.000 0.000
Cl1 Cl 0.500 0.500 0.500
```

***

No. 2
Below is a PBEsol-optimized structure of Zn3HCl, with properties calculated at the meta-GGA SCAN level.

CIF file:
```
data_Zn3HCl
_cell_length_a 5.103
_cell_length_b 5.103
_cell_length_c 5.103
_cell_angle_alpha 90.00
_cell_angle_beta 90.00
_cell_angle_gamma 90.00
_symmetry_space_group_name_H-M 'P m -3 m'
_symmetry_Int_Tables_number 221
_symmetry_space_group_name_Hall '-P 4 2 3'
loop_
_atom_site_label
_atom_site_type_symbol
_atom_site_fract_x
_atom_site_fract_y
_atom_site_fract_z
Zn1 Zn 0.000 0.000 0.500
H1 H 0.500 0.500 0.500
Cl1 Cl 0.000 0.000 0.000
```

***

No. 3
Below is a PBEsol-optimized structure of ZrH3Cl, with properties calculated at the meta-GGA SCAN level.

CIF file:
```
data_ZrH3Cl
_cell_length_a 3.639
_cell_length_b 3.639
_cell_length_c 3.639
_cell_angle_alpha 90.00
_cell_angle_beta 90.00
_cell_angle_gamma 90.00
_symmetry_space_group_name_H-M 'P m -3 m'
_symmetry_Int_Tables_number 221
_symmetry_space_group_name_Hall '-P 4 2 3'
loop_
_atom_site_label
_atom_site_type_symbol
_atom_site_fract_x
_atom_site_fract_y
_atom_site_fract_z
Zr1 Zr 0.000 0.000 0.000
H1 H 0.000 0.500 0.500
Cl1 Cl 0.500 0.500 0.500
```

***

No. 4
# Hf3HgCl (meta-GGA SCAN, single point on PBEsol structure)
# ΔE_f (raw): 1136 meV per atom
data_Hf3HgCl
_cell_length_a 5.202
_cell_length_b 5.202
_cell_length_c 5.202
_cell_angle_alpha 90.00
_cell_angle_beta 90.00
_cell_angle_gamma 90.00
_symmetry_space_group_name_H-M 'P m -3 m'
_symmetry_Int_Tables_number 221
_symmetry_space_group_name_Hall '-P 4 2 3'
loop_
_atom_site_label
_atom_site_type_symbol
_atom_site_fract_x
_atom_site_fract_y
_atom_site_fract_z
Hf1 Hf 0.000 0.000 0.500
Hg1 Hg 0.000 0.000 0.000
Cl1 Cl 0.500 0.500 0.500

***

No. 5
# HfHgCl2 (meta-GGA SCAN, single point on PBEsol structure)
# ΔE_f (raw): -1123 meV per atom
data_HfHgCl2
_cell_length_a 3.2040
_cell_length_b 3.2040
_cell_length_c 31.5181
_cell_angle_alpha 90.00
_cell_angle_beta 90.00
_cell_angle_gamma 120.00
_symmetry_space_group_name_H-M 'R -3 m'
_symmetry_Int_Tables_number 166
_symmetry_space_group_name_Hall '-R 3 2"'
loop_
_atom_site_label
_atom_site_type_symbol
_atom_site_fract_x
_atom_site_fract_y
_atom_site_fract_z
Hf1 Hf 0.0000 0.0000 0.0000
Hg1 Hg 0.0000 0.0000 0.5000
Cl1 Cl 0.0000 0.0000 0.3902

***

No. 6
# HfTaHgCl2 (meta-GGA SCAN, single point on PBEsol structure)
# ΔE_f (raw): 224 meV per atom
data_HfTaHgCl2
_cell_length_a 4.745
_cell_length_b 4.745
_cell_length_c 5.538
_cell_angle_alpha 90.00
_cell_angle_beta 90.00
_cell_angle_gamma 90.00
_symmetry_space_group_name_H-M 'P 4/m m m'
_symmetry_Int_Tables_number 123
_symmetry_space_group_name_Hall '-P 4 2'
loop_
_atom_site_label
_atom_site_type_symbol
_atom_site_fract_x
_atom_site_fract_y
_atom_site_fract_z
Hf1 Hf 0.000 0.000 0.000
Ta1 Ta 0.000 0.000 0.500
Hg1 Hg 0.500 0.500 0.500
Cl1 Cl 0.000 0.500 0.000

***

No. 7
# HfHg2WCl (meta-GGA SCAN, single point on PBEsol structure)
# ΔE_f (raw): 1099 meV per atom
data_HfHg2WCl
_cell_length_a 5.281
_cell_length_b 5.281
_cell_length_c 4.312
_cell_angle_alpha 90.00
_cell_angle_beta 90.00
_cell_angle_gamma 90.00
*/

Solution
Below is a PBEsol-optimized structure of H3WCl, with properties calculated at the meta-GGA SCAN level.
Below is a PBEsol-optimized structure of Zn3HCl, with properties calculated at the meta-GGA SCAN level.
Below is a PBEsol-optimized structure of ZrH3Cl, with properties calculated at the meta-GGA SCAN level.